Work order >
Your job: start at the top of the rows below and repeat each line, ending with the one that has "0.42642 4.03417".
Listing >
____________
(1)
Here is C56H42N4O2P2V as an isolated structure from OMol25. Energies are from ωB97M-V with the def2-TZVPD basis set.

```
107
C56H42N4O2P2V (ωB97M-V with the def2-TZVPD basis set)
V 0.56525 0.98012 -0.82443
O 0.73345 1.42948 -3.28287
C 0.59353 2.78686 -3.65232
C 1.18158 3.32196 -4.77900
C 0.95648 4.66261 -5.06911
C 0.16092 5.45725 -4.25191
C -0.40096 4.90695 -3.11272
C -0.17945 3.56510 -2.80694
P -0.82567 2.83222 -1.30641
C -0.66664 4.07666 -0.01901
C -1.71996 4.87693 0.41186
C -1.48094 5.87165 1.35170
C -0.20318 6.06781 1.85827
C 0.85474 5.27206 1.42732
C 0.61948 4.28037 0.49073
C -2.55441 2.40486 -1.54080
C -3.10270 2.35509 -2.82194
C -4.44091 2.01917 -2.98026
C -5.22297 1.73015 -1.86961
C -4.67152 1.76085 -0.59320
C -3.33675 2.09119 -0.42541
C 1.73303 0.67960 -3.93253
C 1.58743 0.31212 -5.25405
C 2.61472 -0.40872 -5.84756
C 3.75602 -0.75353 -5.12753
C 3.86429 -0.40757 -3.78943
C 2.83609 0.31117 -3.18139
P 2.81814 0.75759 -1.43734
C 4.07652 2.00302 -1.12138
C 5.36358 1.66261 -0.70512
C 6.32286 2.65725 -0.57280
C 6.00233 3.97973 -0.85299
C 4.72439 4.31871 -1.28150
C 3.75991 3.33207 -1.41986
C 3.14046 -0.74682 -0.48730
C 2.87907 -2.00575 -1.03493
C 3.04321 -3.14508 -0.25894
C 3.45378 -3.03427 1.06261
C 3.69068 -1.78214 1.62219
C 3.52721 -0.64019 0.85565
H 1.80753 2.73128 -5.43159
H 1.41435 5.08582 -5.95443
H -0.00842 6.49736 -4.49540
H -1.00304 5.51794 -2.45015
H -2.71965 4.73410 0.01923
H -2.29634 6.50171 1.68239
H -0.02731 6.84893 2.58642
H 1.85369 5.43769 1.81024
H 1.46005 3.69026 0.12393
H -2.50227 2.59834 -3.69027
H -4.87591 1.99600 -3.97134
H -6.27057 1.48554 -1.99714
H -5.28596 1.53708 0.26958
H -2.91229 2.12201 0.57233
H 0.70167 0.58816 -5.81404
H 2.52486 -0.69890 -6.88732
H 4.55355 -1.30214 -5.61000
H 4.73736 -0.69920 -3.21755
H 5.62460 0.63340 -0.49503
H 7.32533 2.39766 -0.25682
H 6.75640 4.74995 -0.74508
H 4.48360 5.34856 -1.51362
H 2.77298 3.59914 -1.78561
H 2.56517 -2.10189 -2.06667
H 2.86404 -4.12126 -0.69103
H 3.59911 -3.92722 1.65804
H 4.01755 -1.70049 2.65154
H 3.72258 0.33192 1.29334
C -4.88159 -8.37567 7.32390
O -4.87473 -8.32699 5.89149
C -4.26897 -7.29456 5.29552
C -4.29237 -7.29724 3.89891
C -3.69833 -6.27912 3.19887
C -3.06165 -5.22586 3.86813
C -3.04294 -5.23462 5.25821
C -3.63801 -6.25498 5.97948
C -2.44699 -4.16848 3.08642
N -2.43209 -4.09670 1.76133
C -1.76465 -2.95686 1.47152
C -1.34421 -2.29399 2.60737
N -1.79154 -3.08835 3.63675
C -0.59247 -1.09077 2.56575
C -0.07384 -0.37601 3.67011
C 0.66417 0.76407 3.47883
C 0.89243 1.22680 2.18565
N 0.41631 0.58739 1.12020
C -0.31528 -0.56666 1.29155
C -0.76615 -1.23834 0.10437
N -0.43710 -0.67696 -1.11195
C -0.81169 -1.28353 -2.24560
C -1.52159 -2.47758 -2.23631
C -1.85178 -3.05232 -1.03145
C -1.47303 -2.43330 0.17635
H -5.41797 -9.27994 7.58448
H -5.39976 -7.51007 7.73616
H -3.86462 -8.42784 7.71229
H -4.78840 -8.11736 3.39539
H -3.71709 -6.28035 2.11732
H -2.56013 -4.43951 5.81922
H -3.61062 -6.23943 7.05897
H -1.69278 -2.91879 4.62353
H -0.25761 -0.72948 4.67847
H 1.06865 1.31718 4.31500
H 1.45975 2.13094 2.01079
H -0.53895 -0.79557 -3.17136
H -1.80383 -2.93553 -3.17515
H -2.40438 -3.98449 -0.98416
```

Summary:
Max |F|: 0.026 Eh/bohr
⟨S²⟩: 2.036
2S+1: 3
Frontier orbital gap (alpha / beta): 4.152 / 4.673 eV
Total energy: -4154.672677 Ha
Net charge: +3
HOMO level (alpha / beta): -0.495 / -0.495 Eh

Here are the Mulliken charges for atoms 1 to 2, given in e:
1 V -1.048
2 O 0.613

(2)
Here is a 3-piece molecular cluster, C7H11Cl3O7S overall from OMol25. Energies are from ωB97M-V with the def2-TZVPD basis set.

```
29
C7H11Cl3O7S (ωB97M-V with the def2-TZVPD basis set)
C 1.40642 3.72862 0.01725
C 0.48019 3.17617 -1.25290
C -0.14255 4.27595 -2.07510
O 0.42642 4.03417 -3.37477
C 1.18818 2.95561 -3.36303
O 1.76844 2.31363 -4.28706
O 1.31581 2.51558 -2.12358
H 1.88207 2.92926 0.58547
H 0.78653 4.19042 0.78574
H 2.05681 4.50164 -0.39206
H -0.27648 2.49703 -0.86006
H 0.42501 5.10774 -1.65784
H -1.18865 4.55531 -1.94970
O -3.46959 -3.89373 0.54313
____________
Result >
(1)
Here is C56H42N4O2P2V as an isolated structure from OMol25. Energies are from ωB97M-V with the def2-TZVPD basis set.

```
107
C56H42N4O2P2V (ωB97M-V with the def2-TZVPD basis set)
V 0.56525 0.98012 -0.82443
O 0.73345 1.42948 -3.28287
C 0.59353 2.78686 -3.65232
C 1.18158 3.32196 -4.77900
C 0.95648 4.66261 -5.06911
C 0.16092 5.45725 -4.25191
C -0.40096 4.90695 -3.11272
C -0.17945 3.56510 -2.80694
P -0.82567 2.83222 -1.30641
C -0.66664 4.07666 -0.01901
C -1.71996 4.87693 0.41186
C -1.48094 5.87165 1.35170
C -0.20318 6.06781 1.85827
C 0.85474 5.27206 1.42732
C 0.61948 4.28037 0.49073
C -2.55441 2.40486 -1.54080
C -3.10270 2.35509 -2.82194
C -4.44091 2.01917 -2.98026
C -5.22297 1.73015 -1.86961
C -4.67152 1.76085 -0.59320
C -3.33675 2.09119 -0.42541
C 1.73303 0.67960 -3.93253
C 1.58743 0.31212 -5.25405
C 2.61472 -0.40872 -5.84756
C 3.75602 -0.75353 -5.12753
C 3.86429 -0.40757 -3.78943
C 2.83609 0.31117 -3.18139
P 2.81814 0.75759 -1.43734
C 4.07652 2.00302 -1.12138
C 5.36358 1.66261 -0.70512
C 6.32286 2.65725 -0.57280
C 6.00233 3.97973 -0.85299
C 4.72439 4.31871 -1.28150
C 3.75991 3.33207 -1.41986
C 3.14046 -0.74682 -0.48730
C 2.87907 -2.00575 -1.03493
C 3.04321 -3.14508 -0.25894
C 3.45378 -3.03427 1.06261
C 3.69068 -1.78214 1.62219
C 3.52721 -0.64019 0.85565
H 1.80753 2.73128 -5.43159
H 1.41435 5.08582 -5.95443
H -0.00842 6.49736 -4.49540
H -1.00304 5.51794 -2.45015
H -2.71965 4.73410 0.01923
H -2.29634 6.50171 1.68239
H -0.02731 6.84893 2.58642
H 1.85369 5.43769 1.81024
H 1.46005 3.69026 0.12393
H -2.50227 2.59834 -3.69027
H -4.87591 1.99600 -3.97134
H -6.27057 1.48554 -1.99714
H -5.28596 1.53708 0.26958
H -2.91229 2.12201 0.57233
H 0.70167 0.58816 -5.81404
H 2.52486 -0.69890 -6.88732
H 4.55355 -1.30214 -5.61000
H 4.73736 -0.69920 -3.21755
H 5.62460 0.63340 -0.49503
H 7.32533 2.39766 -0.25682
H 6.75640 4.74995 -0.74508
H 4.48360 5.34856 -1.51362
H 2.77298 3.59914 -1.78561
H 2.56517 -2.10189 -2.06667
H 2.86404 -4.12126 -0.69103
H 3.59911 -3.92722 1.65804
H 4.01755 -1.70049 2.65154
H 3.72258 0.33192 1.29334
C -4.88159 -8.37567 7.32390
O -4.87473 -8.32699 5.89149
C -4.26897 -7.29456 5.29552
C -4.29237 -7.29724 3.89891
C -3.69833 -6.27912 3.19887
C -3.06165 -5.22586 3.86813
C -3.04294 -5.23462 5.25821
C -3.63801 -6.25498 5.97948
C -2.44699 -4.16848 3.08642
N -2.43209 -4.09670 1.76133
C -1.76465 -2.95686 1.47152
C -1.34421 -2.29399 2.60737
N -1.79154 -3.08835 3.63675
C -0.59247 -1.09077 2.56575
C -0.07384 -0.37601 3.67011
C 0.66417 0.76407 3.47883
C 0.89243 1.22680 2.18565
N 0.41631 0.58739 1.12020
C -0.31528 -0.56666 1.29155
C -0.76615 -1.23834 0.10437
N -0.43710 -0.67696 -1.11195
C -0.81169 -1.28353 -2.24560
C -1.52159 -2.47758 -2.23631
C -1.85178 -3.05232 -1.03145
C -1.47303 -2.43330 0.17635
H -5.41797 -9.27994 7.58448
H -5.39976 -7.51007 7.73616
H -3.86462 -8.42784 7.71229
H -4.78840 -8.11736 3.39539
H -3.71709 -6.28035 2.11732
H -2.56013 -4.43951 5.81922
H -3.61062 -6.23943 7.05897
H -1.69278 -2.91879 4.62353
H -0.25761 -0.72948 4.67847
H 1.06865 1.31718 4.31500
H 1.45975 2.13094 2.01079
H -0.53895 -0.79557 -3.17136
H -1.80383 -2.93553 -3.17515
H -2.40438 -3.98449 -0.98416
```

Summary:
Max |F|: 0.026 Eh/bohr
⟨S²⟩: 2.036
2S+1: 3
Frontier orbital gap (alpha / beta): 4.152 / 4.673 eV
Total energy: -4154.672677 Ha
Net charge: +3
HOMO level (alpha / beta): -0.495 / -0.495 Eh

Here are the Mulliken charges for atoms 1 to 2, given in e:
1 V -1.048
2 O 0.613

(2)
Here is a 3-piece molecular cluster, C7H11Cl3O7S overall from OMol25. Energies are from ωB97M-V with the def2-TZVPD basis set.

```
29
C7H11Cl3O7S (ωB97M-V with the def2-TZVPD basis set)
C 1.40642 3.72862 0.01725
C 0.48019 3.17617 -1.25290
C -0.14255 4.27595 -2.07510
O 0.42642 4.03417 -3.37477